Request.
Please set down only the last part of the entries further below, starting with the line that has "0.4830".

Listing.
- - -
# 1
Compound: DyTm4Sb2
Source: the Alexandria database
Functional: GGA-PBE
Structure: relaxed

Lattice parameters (Å, degrees): 5.2125 5.2125 8.9189 106.99 106.99 90.00
Atoms (fractional coordinates):
Dy  0.0000  0.0000  0.0000
Sb  0.3669  0.3669  0.7337
Tm  0.0000  0.5000  0.0000
Sb  0.6331  0.6331  0.2663
Tm  0.1835  0.1835  0.3669
Tm  0.8165  0.8165  0.6331
Tm  0.5000  0.0000  0.0000

ΔE_f (raw)	0.32	eV per atom
total energy	-4.07	eV per atom
DOS at the Fermi energy	5.31	states/eV per cell
space group	I4/mmm, No. 139


# 2
Compound: Dy5TmSb4
Source: the Alexandria database
Functional: GGA-PBE
Structure: relaxed

Lattice parameters (Å, degrees): 4.2867 8.3781 9.5279 105.16 103.00 90.00
Atoms (fractional coordinates):
Dy  0.8362  0.1793  0.6725
Dy  0.1638  0.8207  0.3275
Sb  0.3317  0.9150  0.6634
Dy  0.8220  0.6496  0.6439
Tm  0.5000  0.0000  0.0000
Sb  0.6683  0.0850  0.3366
Sb  0.9924  0.7448  0.9847
Sb  0.0076  0.2552  0.0153
Dy  0.1780  0.3504  0.3561
Dy  0.5000  0.5000  0.0000

ΔE_f (raw)	-0.72	eV per atom
total energy	-5.11	eV per atom
DOS at the Fermi energy	5.38	states/eV per cell
space group	C2/m, No. 12


# 3
Compound: Dy2TmSb
Source: the Alexandria database
Functional: GGA-PBE
Structure: relaxed

Lattice parameters (Å, degrees): 4.0852 6.4257 9.5081 90.00 90.00 108.54
Atoms (fractional coordinates):
Sb  0.2424  0.4846  0.2500
Dy  0.6357  0.2712  0.4531
Dy  0.3643  0.7288  0.5469
Tm  0.0601  0.1204  0.7500
Dy  0.3643  0.7288  0.9531
Tm  0.9399  0.8796  0.2500
Dy  0.6357  0.2712  0.0469
Sb  0.7576  0.5154  0.7500

ΔE_f (raw)	-0.54	eV per atom
total energy	-4.99	eV per atom
DOS at the Fermi energy	11.52	states/eV per cell
distance to the lowest polymorph of the same formula	0.0	meV/atom
space group	Cmcm, No. 63


# 4
Compound: Dy3TmSb2
Source: the Alexandria database
Functional: GGA-PBE
Structure: relaxed

Lattice parameters (Å, degrees): 4.2943 10.4095 9.7337 125.35 90.00 101.90
Each line ends with the local moment (μB).
Atoms (fractional coordinates):
Sb  0.7485  0.4971  0.2212  0.00
Sb  0.4930  0.9861  0.8310  0.00
Dy  0.0553  0.1106  0.4342  0.08
Tm  0.8908  0.7817  0.8931  0.00
Sb  0.2515  0.5029  0.7788  0.00
Sb  0.5070  0.0139  0.1690  0.00
Dy  0.3118  0.6235  0.5170  0.17
Dy  0.6882  0.3765  0.4830  0.17
Dy  0.3545  0.7091  0.1861  0.01
Dy  0.9447  0.8894  0.5658  0.08
Tm  0.1092  0.2183  0.1069  0.00
Dy  0.6455  0.2909  0.8139  0.01

ΔE_f (raw)	-0.66	eV per atom
total energy	-5.08	eV per atom
DOS at the Fermi energy	13.27	states/eV per cell
distance to the lowest polymorph of the same formula	138.7	meV/atom
space group	C2/m, No. 12


# 5
Compound: Dy2TmSb
Source: the Alexandria database
Functional: GGA-PBE
Structure: relaxed

Lattice parameters (Å, degrees): 4.1274 4.1274 6.6366 90.00 90.00 90.00
Atoms (fractional coordinates):
Tm  0.5000  0.5000  0.5000
Dy  0.0000  0.0000  0.2363
Dy  0.0000  0.0000  0.7637
Sb  0.5000  0.5000  0.0000

ΔE_f (raw)	-0.49	eV per atom
total energy	-4.94	eV per atom
DOS at the Fermi energy	3.74	states/eV per cell
distance to the lowest polymorph of the same formula	52.5	meV/atom
space group	P4/mmm, No. 123


# 6
Compound: Dy5Tm2Sb4
Source: the Alexandria database
Functional: GGA-PBE
Structure: relaxed

Lattice parameters (Å, degrees): 3.6184 7.2690 15.0720 120.46 96.89 90.00
Atoms (fractional coordinates):
Dy  0.1410  0.4471  0.2819
Dy  0.5000  0.0000  0.0000
Sb  0.6744  0.8529  0.3488
Tm  0.2365  0.2596  0.4731
Sb  0.9678  0.6147  0.9355
Dy  0.8590  0.5529  0.7181
Sb  0.3256  0.1471  0.6512
Tm  0.7635  0.7404  0.5269
Sb  0.0322  0.3853  0.0645
Dy  0.9090  0.1207  0.8179
Dy  0.0911  0.8793  0.1821

ΔE_f (raw)	-0.43	eV per atom
total energy	-4.83	eV per atom
DOS at the Fermi energy	11.78	states/eV per cell
space group	C2/m, No. 12


Copy entry 2 word for word.
Compound: Dy5TmSb4
Source: the Alexandria database
Functional: GGA-PBE
Structure: relaxed

Lattice parameters (Å, degrees): 4.2867 8.3781 9.5279 105.16 103.00 90.00
Atoms (fractional coordinates):
Dy  0.8362  0.1793  0.6725
- - -

Here it is.
Dy  0.6882  0.3765  0.4830  0.17
Dy  0.3545  0.7091  0.1861  0.01
Dy  0.9447  0.8894  0.5658  0.08
Tm  0.1092  0.2183  0.1069  0.00
Dy  0.6455  0.2909  0.8139  0.01

ΔE_f (raw)	-0.66	eV per atom
total energy	-5.08	eV per atom
DOS at the Fermi energy	13.27	states/eV per cell
distance to the lowest polymorph of the same formula	138.7	meV/atom
space group	C2/m, No. 12


# 5
Compound: Dy2TmSb
Source: the Alexandria database
Functional: GGA-PBE
Structure: relaxed

Lattice parameters (Å, degrees): 4.1274 4.1274 6.6366 90.00 90.00 90.00
Atoms (fractional coordinates):
Tm  0.5000  0.5000  0.5000
Dy  0.0000  0.0000  0.2363
Dy  0.0000  0.0000  0.7637
Sb  0.5000  0.5000  0.0000

ΔE_f (raw)	-0.49	eV per atom
total energy	-4.94	eV per atom
DOS at the Fermi energy	3.74	states/eV per cell
distance to the lowest polymorph of the same formula	52.5	meV/atom
space group	P4/mmm, No. 123


# 6
Compound: Dy5Tm2Sb4
Source: the Alexandria database
Functional: GGA-PBE
Structure: relaxed

Lattice parameters (Å, degrees): 3.6184 7.2690 15.0720 120.46 96.89 90.00
Atoms (fractional coordinates):
Dy  0.1410  0.4471  0.2819
Dy  0.5000  0.0000  0.0000
Sb  0.6744  0.8529  0.3488
Tm  0.2365  0.2596  0.4731
Sb  0.9678  0.6147  0.9355
Dy  0.8590  0.5529  0.7181
Sb  0.3256  0.1471  0.6512
Tm  0.7635  0.7404  0.5269
Sb  0.0322  0.3853  0.0645
Dy  0.9090  0.1207  0.8179
Dy  0.0911  0.8793  0.1821

ΔE_f (raw)	-0.43	eV per atom
total energy	-4.83	eV per atom
DOS at the Fermi energy	11.78	states/eV per cell
space group	C2/m, No. 12


Copy entry 2 word for word.
Compound: Dy5TmSb4
Source: the Alexandria database
Functional: GGA-PBE
Structure: relaxed

Lattice parameters (Å, degrees): 4.2867 8.3781 9.5279 105.16 103.00 90.00
Atoms (fractional coordinates):
Dy  0.8362  0.1793  0.6725